**Work order:**
Please count the lines further below that contain the word "C1" and give the number alone.
**Listing:**
=====
Molecular formula: C6H8N2O2S
Method: DFT, ωB97M-V/def2-TZVPD

Geometry (Å):
C 1.8707 0.7395 0.5414
C 1.8299 0.4292 -0.7661
C -0.2301 0.2489 -0.0065
C -1.7795 -0.1334 0.2954
C 0.3025 0.6781 2.4351
C -1.8301 -0.4873 -2.5880
N 0.5422 0.6003 0.9899
N 0.5562 0.1093 -1.0590
O -2.6134 0.6833 -0.0635
O -1.7934 -1.1602 0.9234
S -0.0297 -0.2713 -2.8118
H 2.6966 1.1401 1.0560
H 2.4620 0.5120 -1.6287
H 0.9094 -0.1496 3.1016
H 0.4026 1.7152 2.8148
H -0.7028 0.3453 2.5774
H -2.2473 -0.9183 -3.4954
H -2.1687 0.4685 -2.4257
H -1.7850 -1.0643 -1.6387

## Properties
LUMO level: 0.1 eV
E_tot: -891.53450 hartree
total charge: 0
HOMO: -9.114 eV

=====

Molecular formula: C6H8N2O2S
Method: DFT, ωB97M-V/def2-TZVPD

Geometry (Å):
C 1.4929 -1.5153 0.1762
C 0.2037 -1.5937 -0.1535
C -2.1029 -0.7238 -0.4288
C 2.3067 -0.3241 0.4802
C -2.3242 0.7782 -0.2732
C -0.8057 0.8572 -0.0188
N 4.9166 0.5239 -0.0384
N -0.7530 -0.5959 -0.2254
O -2.7928 -1.6819 -0.6304
O -0.0306 1.6054 -0.8812
S 3.9385 -0.4218 -0.5507
H 2.0328 -2.4530 0.2076
H -0.2435 -2.5545 -0.3750
H 1.8329 0.6198 0.2246
H 2.6592 -0.3029 1.5117
H -2.6616 1.2808 -1.1766
H -2.9617 1.0591 0.5599
H -0.5117 1.1560 0.9928
H -0.2887 1.4293 -1.7952

## Properties
LUMO level: -0.6 eV
E_tot: -891.50386 hartree
total charge: 0
HOMO: -8.471 eV

=====

Molecular formula: C6H8N2O2S
Method: DFT, ωB97M-V/def2-TZVPD

Geometry (Å):
C -1.0233 0.4091 2.1989
C -0.5801 0.1955 0.8750
C 0.5751 0.6518 0.2622
C 0.5844 0.0092 -1.1097
C 0.8964 0.9222 -2.3267
C 1.6629 -1.0241 -0.9565
N -1.3214 -0.5907 -0.0298
N -0.7449 -0.6416 -1.1163
O -2.1125 -0.2229 2.4573
O -4.3460 -1.1122 3.0240
S -3.3043 -0.2718 3.5505
H -0.4428 1.0850 2.9217
H 1.3046 1.1970 0.7807
H 0.6590 1.9035 -2.1969
H 0.4484 0.5867 -3.1877
H 2.0693 0.8049 -2.4725
H 2.5458 -0.5025 -0.8243
H 1.7169 -1.7016 -1.7442
H 1.4126 -1.6977 -0.1056

## Properties
LUMO level (alpha / beta): -0.3 / -0.8 eV
E_tot: -891.42553 hartree
total charge: 0
HOMO (alpha / beta): -8.416 / -7.437 eV

=====

Molecular formula: C6H8N2O2S
Method: DFT, ωB97M-V/def2-TZVPD

Geometry (Å):
C 1.8171 -2.2870 -0.1311
C -0.0393 -0.4023 0.1099
C 2.5257 -0.0755 -0.2718
C -2.2600 0.0972 1.1630
C -1.6957 0.7270 -1.2186
C -1.1485 0.5424 0.2082
N 2.5951 -1.3026 -0.2122
N 3.1148 1.0878 0.0640
O 2.4320 2.0800 0.2624
O 4.3455 1.0429 0.0714
S 0.0154 -2.0013 0.1152
H 2.1296 -3.3056 -0.2117
H -3.0428 0.8505 1.1925
H -1.8643 -0.0326 2.1673
H -2.6906 -0.8468 0.8338
H -0.8959 0.9875 -1.9073
H -2.4307 1.5268 -1.2213
H -2.1694 -0.1915 -1.5578
H -0.7381 1.5033 0.5441

## Properties
LUMO level: -0.9 eV
E_tot: -891.31529 hartree
total charge: 0
HOMO: -8.436 eV

=====

Molecular formula: C6H8N2O2S2
Method: DFT, ωB97M-V/def2-TZVPD

Geometry (Å):
C -1.4677 2.3180 -1.1739
N -1.1295 1.4463 -0.0853
C -0.4766 0.3808 -0.3298
N 0.1794 -0.0196 -1.4074
S 0.7301 -1.6914 -1.2540
O 1.9603 -1.9218 -1.8635
O -0.3505 -2.5545 -1.7074
C 0.7789 -1.4135 0.5191
C 1.9234 -1.3301 1.1311
S 1.8657 -0.2288 2.5860
C 0.0320 0.0732 2.2320
C -0.3086 -0.5484 0.8921
H -1.0452 3.3144 -0.8689
H -2.5782 2.2918 -1.2649
H -0.9262 1.9554 -2.2018
H 0.0533 0.3856 -2.2936
H 2.8318 -1.9080 0.9061
H -0.1368 1.0831 2.1359
H -0.5592 -0.5939 2.9901
H -1.3763 -1.0384 1.0578

## Properties
LUMO level: 0.3 eV
E_tot: -1289.69875 hartree
SMILES string: C/N=C1\NS(=O)(=O)C2=CSC[C@H]21
total charge: 0
HOMO: -9.099 eV

=====

Molecular formula: C6H8N2O3S
Method: DFT, ωB97M-V/def2-TZVPD

Geometry (Å):
C 0.1751 -0.4554 1.0716
C 0.4661 0.7241 0.4923
C 0.4510 -0.4112 2.4898
C 0.2744 1.1608 -0.9186
C -0.8889 0.4269 -1.5952
C -0.5566 -1.0037 -1.9583
N 1.0200 1.5603 1.4381
N 0.8600 0.9143 2.6660
O 0.3639 -1.2130 3.3866
O -1.8648 -2.4340 -0.0961
O 0.4895 -3.0509 -0.5837
S -0.5232 -2.0495 -0.4238
H 0.0832 2.2385 -0.9316
H 1.1925 0.9877 -1.4871
H -1.7513 0.4186 -0.9257
H -1.1669 0.9788 -2.4972
H -1.3285 -1.4556 -2.5799
H 0.4168 -1.1113 -2.4264
H 0.8702 2.5614 1.4268
H 1.4177 1.2132 3.4522

## Properties
LUMO level: 0.1 eV
E_tot: -966.76070 hartree
total charge: 0
HOMO: -8.858 eV

=====
=====
**Solution:**
1